Workflow Developer's Guide

By Lars Pind on 30 August 2000.

ACS Documentation : Workflow : Workflow Developer's Guide

This document deals with how to use the services of the workflow package in your own package.

What Do I Gain?

Given the formal specification of a workflow, the workflow package will keep track of what tasks are to be performed, notify via email the people that should perform them, and make sure that the same task doesn't accidentally get executed twice by different people.

It'll also provide your users with a unified user-interface to help them keep track the tasks they are supposed to perform. This user-interface also acts as the single place to go for information relating to the task, such as inputs and aids in performing the specific task, a log of all prior activity on the case including comments, and a visual overview over the case.

It also provides you with an interface for analyzing the performance of your workflow. You'll be able to spot bottlenecks, find overdue tasks, etc.

Finally, as the package evolves based on input from you and other users, the features above will grow stronger, and more will be added (see future plans).

What Does It Take?

The workflow process is centered around an object. In an insurance company, that could be an insurance claim; if you're writing the ticket-tracker, it would be the ticket itself; etc. So you need to define that object first, creating tables, etc., as necessary.

From there on, there are four steps involved in taking advantage of the services of the workflow package in your application.

  1. Define your process. You need to formally specify your process definition. This is as simple or as hard as the actual process you're dealing with. If the process for your particular application is simple, then formalizing it for use with the workflow package is going to be simple. If the process for your application is complex, with lots of rules, then formalizing it is going to be complex. There is a very easy-to-use web-based interface to help you formalize processes.

  2. Customize the user-interface. The task page can have any number of panels, in addition to the one "Action" panel provided by the system. You must write these subtemplates and include them in your package, then provide the URL and a header in your process definition.

  3. Add a mechanism for starting cases. You'll need some way to start cases. Typically, you'll want a trigger, so that every time a row is inserted into your "tickets" or "claims" table, a new case is started. Or you may want to do this at the API level, so that the function that creates a new "ticket" or "claim" object also starts a new workflow case around it.

  4. Integrate the user-experience. Your package probably wants some admin pages, as well as some end-user pages. These should be integrated with the user-interface offered by the workflow package, by providing links to the relevant workflow pages.
For more complex processes, you may additionally need one or more of these steps:

Defining Your Process

This is pretty simple. You simply use the web-based user-interface i.e., any combination of the Simple Process Wizard and the Advanced Process Builder, to define your process.

When you're happy with your process and have tested it, you click on export process from the process page, to export the process to a SQL script file, which you can include in your distribution. But don't do this just yet. Make sure you've completed all of the steps below before you export it.

Customize the User-Interface

The information provided by default on the task page is somewhat shallow. You will want to supply your own sub-templates to this page to display information specific to your object of concern.

-- Someone pasted records of molecules at this point --
- - -
The following is a DFT calculation (wB97M-V/def2-TZVPD) of a molecular structure, C41H37F5HgP2 at a distorted geometry.

Last column: Löwdin charge in e.
Geometry (Å):
Hg1 -2.1651 -0.0337 3.3018  1.109
C1 -0.6948 5.1792 3.5743  -0.115
C2 -0.5154 4.9361 2.2695  -0.111
C3 0.7925 4.8514 1.5437  -0.191
C4 1.4999 3.4519 1.6713  -0.182
C5 2.0872 3.1005 3.0133  -0.113
C6 2.0599 3.8308 4.1466  -0.100
C7 1.7811 5.3072 4.3228  -0.198
C8 0.2983 5.7066 4.5539  -0.184
C9 -0.7773 -1.6733 3.3929  -0.305
H1 -1.6949 5.0987 4.0003  0.094
H2 -1.4248 4.7373 1.6900  0.096
H3 1.4740 5.6321 1.8833  0.090
H4 0.5925 5.0408 0.4693  0.110
H5 0.7393 2.6845 1.4353  0.085
H6 2.2545 3.3735 0.8596  0.113
H7 2.5686 2.1100 3.0735  0.100
H8 2.3340 3.3025 5.0753  0.104
H9 2.2198 5.9426 3.5368  0.099
H10 2.3231 5.6000 5.2371  0.107
H11 -0.0148 5.3896 5.5660  0.095
H12 0.2298 6.8132 4.5637  0.123
H13 -0.8381 -2.1276 4.3953  -0.018
H14 0.2134 -1.2520 3.1634  -0.036
H15 -1.1288 -2.3821 2.6329  -0.052
P1 -1.3655 -1.7528 -3.0495  1.004
P2 1.0460 -3.5177 -1.9914  1.001
C10 0.3442 -1.3791 -3.5594  -0.341
C11 1.3284 -2.2517 -3.2513  -0.368
C12 -2.1123 -1.8618 -4.7559  -0.380
C13 -1.5288 -1.3336 -5.9151  -0.097
C14 -2.1301 -1.5074 -7.1684  -0.082
C15 -3.3194 -2.2404 -7.2897  -0.086
C16 -3.8836 -2.7993 -6.1403  -0.095
C17 -3.2886 -2.6277 -4.8948  -0.113
C18 -1.7901 -0.0808 -2.4521  -0.395
C19 -1.1573 0.3246 -1.2594  -0.111
C20 -1.4318 1.5774 -0.7146  -0.094
C21 -2.3204 2.4393 -1.3779  -0.091
C22 -2.9578 2.0349 -2.5606  -0.082
C23 -2.7056 0.7636 -3.0902  -0.086
C24 2.0287 -4.8577 -2.9005  -0.353
C25 1.5505 -5.3065 -4.1495  -0.109
C26 2.2476 -6.2783 -4.8723  -0.094
C27 3.4347 -6.8168 -4.3783  -0.099
C28 3.9177 -6.3760 -3.1483  -0.089
C29 3.2172 -5.4154 -2.4071  -0.089
C30 2.2656 -2.9747 -0.7525  -0.418
C31 2.2105 -3.6005 0.5051  -0.123
C32 3.1339 -3.2720 1.5013  -0.085
C33 4.1162 -2.3022 1.2399  -0.092
C34 4.1630 -1.6623 0.0042  -0.085
C35 3.2283 -1.9806 -0.9906  -0.086
H16 0.5193 -0.4708 -4.1444  0.077
H17 2.3020 -2.2591 -3.7483  0.084
H18 -0.5850 -0.7848 -5.8692  0.090
H19 -1.6727 -1.0749 -8.0575  0.102
H20 -3.7889 -2.3749 -8.2659  0.103
H21 -4.8039 -3.3803 -6.2237  0.104
H22 -3.7244 -3.0904 -4.0087  0.097
H23 -0.4455 -0.3458 -0.7746  0.098
H24 -0.9553 1.8877 0.2232  0.077
H25 -2.5181 3.4305 -0.9651  0.098
H26 -3.6466 2.7107 -3.0801  0.106
H27 -3.2028 0.4327 -4.0043  0.101
H28 0.6325 -4.8817 -4.5609  0.100
H29 1.8587 -6.6190 -5.8290  0.101
H30 3.9723 -7.5762 -4.9435  0.101
H31 4.8453 -6.7841 -2.7568  0.100
H32 3.6201 -5.0977 -1.4423  0.097
H33 1.4381 -4.3501 0.6885  0.100
H34 3.0750 -3.7666 2.4708  0.103
H35 4.8356 -2.0472 2.0212  0.103
H36 4.9241 -0.8943 -0.1976  0.108
H37 3.2567 -1.4562 -1.9435  0.089
F1 -5.0715 0.9624 5.1622  0.052
C36 -3.9763 1.7427 5.3531  -0.261
C37 -2.7081 1.2698 5.0244  -0.157
C38 -1.6871 1.8673 5.7592  -0.259
F2 -0.4557 1.2932 5.9082  0.040
C39 -1.8434 3.1104 6.3839  -0.147
F3 -0.8088 3.6877 7.0515  0.084
C40 -3.0706 3.7569 6.3318  -0.136
- - -

While defining your process, you can define the panels for each of the tasks. The panels consist of a header and the URL of the subtemplate you want to provide the contents of the panel. The URL is, due to the way the templating system works, not a real URL. Rather, it's a path to the file to include, and will typically look like this: /packages/your-package-name/www/your-panel-template-name e.g., /packages/insurance-claim-app/www/claim-info. Then, in the location in your package, you must provide at least the claim-info.adp, and most likely also the claim-info.tcl files.

Add a Mechanism for Starting Cases

If there must be a process for each and every object that your application is dealing with (claim reports, articles, tickets, etc.), then the smartest way of implementing this is to start a process case from the same API call that creates a new object of your type, like this:
create or replace package body ticket
    function new (
    ) return integer
        v_ticket_id number;
	v_case_id number;
        /* Create the ticket object */
        v_ticket_id := ... ;

	v_case_id :=
	    workflow_key => 'ticket_wf',
	    object_id => v_ticket_id,
	    case_id => v_case_id,
        return v_ticket_id;

end ticket;
You can also do this from an after insert trigger on the table holding your objects.

If, however, only some of your objects give rise to a process case, then you're better off creating a UI page for starting a case. The workflow API calls to use are the same as in the above.

Integrate the User Experience

This basically consists of providing links from the relevant pages of your application to the relevant pages within the workflow package. It's reasonably safe to assume that the workflow package is mounted at /workflow/. If you want to be super-general, you'll have to query the sitemap tables for the correct URL stub.

The task page, specifically, takes a return_url argument, so you can redirect to this page and expect the user to be able to find his way back to your page.

What are Callbacks?

Callbacks are a mechanism for the Workflow Engine to execute code that you supply. You specify to the workflow engine the name of the PL/SQL function or procedure you want invoked, and the Workflow Engine invokes it with a pre-specified argument list. In other words, the procedure or function must have exactly the signature specified by the Workflow Engine, but apart from that, it can do anything.

Here the text breaks off for records of molecules >
____________
{"formula": "C5H13NOS2", "method": "wB97M-V/def2-TZVPD", "e_tot_ha": -1124.571275, "homo_energy_ha": -0.3443, "gap_ev": 9.90, "max_force_ev_per_a": 5.23, "e_above_lowest_kj_mol": 311.36, "e_lumo_ev": 0.5, "symbols": ["C", "C", "C", "C", "C", "H", "H", "H", "H", "H", "H", "H", "H", "H", "H", "H", "H", "H", "N", "O", "S", "S"], "coordinates": [[-2.30, 1.05, 0.76], [-0.93, -0.84, 0.12], [0.42, -0.56, 0.90], [1.61, -0.35, -0.03], [1.53, 0.71, -1.09], [-1.52, 1.87, 0.92], [-2.36, 0.32, 1.72], [-3.46, 1.55, 0.83], [-0.64, -1.48, -0.73], [-1.82, -1.24, 0.65], [0.62, -1.34, 1.58], [0.33, 0.24, 1.58], [2.31, 0.06, 0.71], [1.41, -1.82, -1.40], [2.07, -2.39, -0.10], [2.42, 0.78, -1.62], [0.69, 0.46, -1.75], [1.92, 2.66, 0.09], [2.08, -1.58, -0.66], [-3.14, -0.57, -1.18], [-1.97, 0.29, -0.82], [0.73, 2.17, -0.46]], "nbo_charge": [-0.8970, -0.6389, -0.4133, -0.0653, -0.5255, 0.2563, 0.2300, 0.2511, 0.2069, 0.2499, 0.2209, 0.2194, 0.1890, 0.3476, 0.3615, 0.2399, 0.2060, 0.1302, -0.8247, -0.9651, 1.2606, -0.0396]}

{"formula": "C5H13NOSi", "method": "wB97M-V/def2-TZVPD", "e_tot_ha": -617.675266, "homo_energy_ha": -0.2934, "gap_ev": 8.48, "max_force_ev_per_a": 5.16, "e_above_lowest_kj_mol": 455.31, "e_lumo_ev": 0.5, "symbols": ["C", "C", "C", "C", "C", "N", "O", "Si", "H", "H", "H", "H", "H", "H", "H", "H", "H", "H", "H", "H", "H"], "coordinates": [[-0.47, -0.18, 1.02], [0.98, -1.44, -1.28], [2.40, 1.04, -0.34], [-0.31, 1.26, -1.55], [-3.12, -0.27, 1.34], [-0.20, -0.77, 2.17], [-3.07, -0.86, 2.42], [0.78, 0.18, -0.37], [1.70, -2.08, -0.73], [-0.02, -1.91, -1.29], [1.46, -1.42, -2.27], [2.83, 1.08, -1.41], [2.29, 2.05, 0.20], [3.20, 0.50, 0.39], [-1.13, 0.68, -2.07], [-0.87, 2.00, -1.05], [0.19, 1.80, -2.44], [-2.88, 0.86, 1.40], [-3.61, -0.50, 0.44], [0.73, -0.77, 2.66], [-0.87, -1.26, 2.76]], "nbo_charge": [-0.2448, -1.1080, -1.1598, -1.0957, 0.2806, -0.7114, -0.6054, 1.5082, 0.2289, 0.2458, 0.2487, 0.2621, 0.2481, 0.2339, 0.2332, 0.2259, 0.2276, 0.1006, 0.1290, 0.3539, 0.3986]}

{"formula": "C5H13NS", "method": "wB97M-V/def2-TZVPD", "e_tot_ha": -651.202157, "homo_energy_ha": -0.2962, "gap_ev": 9.04, "max_force_ev_per_a": 0.61, "e_above_lowest_kj_mol": 109.75, "e_lumo_ev": 1.0, "symbols": ["C", "C", "N", "C", "H", "H", "H", "H", "H", "H", "H", "C", "S", "C", "H", "H", "H", "H", "H", "H"], "coordinates": [[0.56, -1.50, 0.73], [-0.67, -1.80, 0.32], [-1.01, -2.29, -0.94], [-2.19, -1.75, -1.60], [1.41, -1.69, 0.08], [0.81, -1.10, 1.70], [-1.57, -1.67, 0.91], [-0.22, -2.43, -1.54], [-2.63, -2.49, -2.27], [-2.92, -1.50, -0.83], [-1.97, -0.84, -2.15], [0.15, 2.58, 1.39], [1.82, 1.95, 1.61], [2.20, 1.62, -0.13], [-0.55, 1.86, 0.96], [0.16, 3.47, 0.77], [-0.22, 2.86, 2.38], [3.25, 1.36, -0.21], [1.55, 0.82, -0.47], [2.03, 2.54, -0.69]], "nbo_charge": [-0.5312, 0.0147, -0.6159, -0.4003, 0.1856, 0.2202, 0.1834, 0.3684, 0.1987, 0.1981, 0.1760, -0.7525, 0.1862, -0.7411, 0.2139, 0.2091, 0.2290, 0.2276, 0.2203, 0.2100]}
____________

The principle for callback arguments is that it takes the minimum list of arguments necessary to fully qualify what transition or arc triggered it, plus a custom argument, the value of which is specified during the process design. The custom argument is there, so you can parameterize your callback. Say you have a callback that returns the a date one week from now. If you need another callback returning the date two weeks from now, you don't have to write a new PL/SQL function. You can supply one that takes the number of days as its custom arg, and returns the date custom arg days from now.

The signatures are specified in Appendix A.

Adding Guard Callbacks

I assume you know what a guard is and what it does; otherwise, read the Conceptual Guide now. There is one special guard, default, denoted by a hash (#) symbol, which evaluated to true when all non-default guards evaluate to false. This is useful, because you normally want to make sure that exactly one of the guards on arcs going out of the same transition evaluate to true. It corresponds to the 'else' clause in an if-statement, or the 'default' clause in a switch statement.

Apart from this, there is one guard callback function included in the pacakge, namely wf_callback.guard_attribute_true, which returns true if the attribute, whose name is given in the custom_arg argument evaluates to true. This is probably one of the most common guards you'll encounter.

A guard callback must follow the signature given in appendix A, and return either 't' or 'f'. It will typically query some workflow attribute, but apart from that it may do whatever it wants, although it generally shouldn't have side-effects.

Adding Action

If you want an automatic transition, or any other transition, for that matter, to have side-effects of any kind, you can specify an action to be called either when the transition is enabled or when it fires.

An action is also a callback, following the signature given for enable or fire callbacks below. Actions don't by themselves alter the state of the process, they only have side-effects. They can, however, set workflow attributes, which can then be queried by guards.

You can use this to implement a process that doesn't require human intervention. If you have a process, such as billing a credit card, where a number of operations must happen in some non-trivial order, you can model the order and the dependencies in a workflow process, and have the actions performed automatically. By doing it this way, you separate the logic governing the overall process from the technicalities of actually performing the actions.

-- begin --
1.
ORCA calculation (ωB97M-V/def2-TZVPD) on a cluster of 20 separate species, C65H175N5O20 in total.

Structure (XYZ):
```
265
Properties=species:S:1:pos:R:3:forces:R:3
C 7.709 -23.706 3.767 0.4 1.4 -0.4
C 8.317 -22.608 2.841 -0.1 -0.7 0.5
C 7.256 -21.978 1.964 -0.1 0.0 -0.7
O 8.955 -21.644 3.641 0.7 0.5 0.2
H 7.079 -23.188 4.504 -0.3 -0.2 -0.3
H 8.451 -24.235 4.340 0.5 -0.2 0.0
H 7.154 -24.398 3.166 -0.5 -0.5 -0.1
H 9.109 -23.046 2.223 -0.1 0.0 0.0
H 7.586 -21.435 1.065 0.5 -0.3 0.3
H 6.680 -21.224 2.494 -0.3 -0.3 0.4
H 6.640 -22.800 1.607 -0.5 0.2 -0.1
H 8.475 -21.600 4.470 -0.1 0.2 0.2
C 11.501 -32.931 5.665 -1.1 -1.1 -0.1
C 10.444 -33.395 4.663 0.5 -0.1 -1.1
C 9.011 -33.007 4.972 0.7 0.3 0.1
O 10.712 -32.807 3.344 -0.8 0.2 0.2
H 11.294 -33.441 6.598 -0.2 0.1 0.5
H 11.488 -31.864 5.827 0.1 0.3 -0.1
H 12.456 -33.325 5.379 0.7 0.2 -0.4
H 10.495 -34.490 4.504 0.1 0.3 0.4
H 8.968 -31.928 4.987 -0.1 0.5 0.1
H 8.709 -33.377 5.950 -0.1 -0.1 0.0
H 8.348 -33.333 4.179 -0.2 -0.3 0.0
H 11.599 -32.975 3.024 0.3 -0.2 0.3
C 6.430 -30.428 7.063 -0.2 0.6 1.0
C 5.666 -30.757 8.336 -0.5 0.2 -0.2
C 4.734 -31.952 8.147 -0.2 0.1 -0.7
O 6.526 -30.905 9.448 0.3 -0.4 0.4
H 6.999 -31.271 6.703 -0.2 -0.5 -0.4
H 7.191 -29.661 7.286 -0.6 0.2 -0.3
H 5.619 -30.105 6.404 0.7 0.1 -0.6
H 5.021 -29.898 8.628 0.4 -0.3 -0.4
H 4.191 -31.838 7.194 -0.2 0.3 0.5
H 4.055 -32.002 8.982 -0.5 -0.1 0.2
H 5.166 -32.944 8.017 0.7 0.1 0.3
H 6.967 -31.752 9.335 0.3 -0.1 0.2
C 7.277 -30.059 2.943 -0.1 -0.4 -0.1
C 6.174 -30.469 1.889 1.1 0.3 1.2
C 6.746 -30.342 0.482 -0.4 -0.7 0.1
O 5.748 -31.840 2.108 0.9 0.9 0.2
H 7.645 -29.009 2.900 -0.6 -0.6 -0.3
H 8.148 -30.707 2.814 0.2 0.0 -0.3
H 6.984 -30.259 3.982 -0.4 0.2 -0.2
H 5.339 -29.778 2.089 -0.1 -0.6 -0.4
H 7.548 -31.078 0.338 0.4 0.6 0.4
H 7.023 -29.322 0.224 0.2 0.0 0.0
H 6.014 -30.717 -0.221 -0.5 0.3 -0.3
H 6.593 -32.342 2.128 -0.6 0.0 -0.2
C 11.949 -26.157 10.876 0.5 1.0 0.1
C 13.003 -25.104 11.275 0.5 -0.4 0.6
C 13.114 -24.994 12.790 -1.1 -0.4 0.0
O 14.317 -25.380 10.886 1.3 -0.3 -1.7
H 11.051 -25.607 11.136 -0.8 -0.6 0.0
H 12.056 -27.101 11.409 0.0 0.2 0.4
H 11.906 -26.411 9.821 0.2 0.4 -0.2
H 12.791 -24.125 10.859 -0.8 0.2 -0.1
H 12.131 -24.747 13.208 0.2 0.1 0.2
H 13.866 -24.283 13.097 0.1 0.4 0.0
H 13.412 -25.965 13.189 0.0 -0.1 0.0
H 14.478 -24.954 10.012 -0.1 -0.4 0.8
C 18.994 -29.209 7.000 -0.2 -1.1 1.0
C 18.936 -27.792 7.546 -0.6 -0.6 -1.0
C 17.695 -27.707 8.393 -1.0 -0.1 -0.4
O 20.039 -27.559 8.361 1.2 0.8 -0.1
H 18.712 -29.901 7.845 0.3 0.5 -0.7
H 19.997 -29.519 6.711 0.0 0.2 -0.3
H 18.260 -29.391 6.221 0.1 0.0 -0.3
H 18.970 -27.065 6.694 -0.1 -0.3 0.8
H 17.797 -28.448 9.201 0.0 0.4 0.0
H 16.798 -28.029 7.834 0.3 0.3 0.1
H 17.535 -26.711 8.790 -0.1 0.1 0.2
H 19.845 -27.972 9.194 0.1 -0.3 0.7
C 9.486 -23.055 7.060 0.3 -0.8 -0.1
C 10.408 -24.254 7.291 -0.1 0.0 0.2
C 11.855 -23.813 7.412 -0.1 -0.5 -0.6
O 10.084 -24.880 8.554 0.7 0.5 -0.4
H 9.652 -22.344 7.868 -0.1 0.3 -0.1
H 8.457 -23.395 7.045 -0.3 0.1 0.2
-- stop --

Other Callbacks

There are a number of places where you can supply a callback to control the operation of the workflow engine in minute detail. These are:
Who is assigned to a task may depend on some application-specific details. By supplying an assignment callback for a transition, your application can determine the assignment at run-time. This callback will get executed each time the transition becomes enabled, and should use the workflow_case.add_task_assignment to set the resulting assignment for the task.
Timed transitions are automatic transitions that trigger at some pre-specified time. You can supply a callback to compute the time that the transition should trigger. This callback will be executed each time a timed transition becomes enabled, and should return an Oracle date. At the date and time specified by this returned date, the transition will automatically fire. For this, as well as for the two following situations, the predefined wf_callback.time_sysdate_plus_x callback function comes in handy. Specify the number of days as the custom_arg. You may specify fractions of a day, by specifying a decimal number.
Tasks may have deadlines. In order to compute the deadline, a callback can be executed, which must return the deadline as an Oracle date. Alternatively, if the deadline is to be manually specified in another task, that other task should set a workflow attribute of type date, and you specify that the transition should use this attribute as its deadline date. The date used is the value of the attribute as the transition becomes enabled. If the attribute value change, the deadline of the enabled transition does not change, but if the transition becomes enabled again, the new value will be used. See note on wf_callback.time_sysdate_plus_x above.
Hold Timeout
When a user starts a task, he obtains a lock on that enabled transition, and the tokens it will consume. But you might not want a user to hang on to a task forever without finishing it. Thus, you can supply a hold timeout date, which is similar to a deadline. When this date comes, if the user is still holding on to the task, the task will automatically be canceled, and thus become available for other users to start. This callback will get called as the user starts the task. See note on wf_callback.time_sysdate_plus_x under Time above.
The notification callback will get called whenever a user is assigned to this transition. The notification callback is passed the default subject line and body, the recipient party, and the default sending party. It may modify any of these elements before posting the message, or may choose to ignore the request and return without posting at all. If no notification callback is provided, the party assigned to the task will be notified automatically by the workflow engine.

In ACS 4.x Classic, the callback procedure did not have to post the message, but rather could modify the subject, body and sending party directly through the use of PL/SQL in out parameters. PL/pgSQL does not support in out parameters, so the semantics were changed to work as described above.

Unassigned task
Whenever a transition is enabled, but there are no assignees, this callback will get called. You will typically use this to notify some principal that there's an unassigned task that he will want to take a look at.

Message Transitions

Message transitions are used when the something outside of the workflow system triggers the transition e.g., the arrival of an email. What you'll need to do is write the code necessary to receive that email, and the call the workflow_case.fire_message_transition API procedure to trigger the transition.

You're Ready To Go!

This concludes our tutorial on everything you need to know to harness the powers of the workflow package in your own applications. Good luck.

If you get stuck, don't forget where you can find the support that you need.

Appendix A. Callback Signatures

function name(
    case_id           in number, 
    workflow_key      in varchar2, 
    transition_key    in varchar2, 
    place_key         in varchar2, 
    direction         in varchar2, 
    custom_arg        in varchar2
) return char(1);
Return 't' for true and 'f' for false.
Transition Enable/Fire
procedure name(
    case_id           in number, 
    transition_key    in varchar2, 
    custom_arg        in varchar2
Task Assignment
procedure name(
    task_id           in number, 
    custom_arg        in varchar2
This procedure should use workflow_case.add_task_assignment to assign a user to the task.

Timed Transition Trigger Time
function name(
    case_id           in number, 
    transition_key    in varchar2, 
    custom_arg        in varchar2
) return date;
Return the date the transition should automatically fire.
Task Deadline Date
function name(
    case_id           in number, 
    transition_key    in varchar2, 
    custom_arg        in varchar2
) return date;
Return the deadline date.
Task Timeout Date
function name(
    case_id           in number, 
    transition_key    in varchar2, 
    custom_arg        in varchar2
) return date;
Return the date the user's lock should timeout.
procedure name(
    task_id           in number, 
    custom_arg        in varchar2, 
    party_to          in integer, 
    party_from        in integer, 
    subject           in varchar2, 
    body              in varchar2
The party_from, subject and body arguments will contain the default values, that the callback can modify as it wishes.
Unassigned Task
procedure name(
    case_id           in number, 
    transition_key    in varchar2,
    custom_arg 	      in varchar2
Last Modified: $Date: 2002/02/09 02:33:35 $